AI Adbot Launch and Growth Strategy


Now that all the copywriters that were psyched over my last post are diligently preparing for the onslaught of AI AdBot briefings lets now focus on measurement and analysis.

I can wax lyrical about the raw potential AI AdBots bring our illustrious industry.

The real time 1:1 engagement that a conversational medium affords us is absolutely mind blowing.

Who would have thought that social messaging app platforms would have ultimately become the fertile soil from which eCRM would rise like the phoenix from the ashes of direct mail, email campaigns and targeted banners?

Having said that, let’s examine one of the more exciting opportunities AI AdBots bring which is an opportunity for deeper and more complex ways to measure stuff.

And we all know how much us ad folk love to measure stuff.

I am personally much more creative than I am analytical so I pulled aside one of our brainiac insights and analytics experts here at VML (his name is Kevin Kwan and he is very smart) and I asked him:

How can we measure performance and predict growth for AI Adbots?

At first I got that “oh no its that crazy creative technology guy again and he is probably chasing down another one of his hair brained ideas and is going to pull me in” look, so I put down one of my drinks and asked more succinct questions.

What is the best way to measure AI AdBot activation and retention?

What AI AdBot metrics are most important to track?

How do we attribute new AdBot installs?

Kevin then started to take me a little more seriously.

At first I thought we could base measurement loosely on traditional web and mobile analytics and user behavior.

But then I put down my other drink, and postured that since this is such new territory and there are really no rules yet, why don’t we make up some mind blowing metrics that will have the industry salivating?

So with drink in hand, Kevin and I walked over to the back couches overlooking Columbus Circle and started to chat.

We decided that we should create a set of AI AdBot events and get them into (I can’t believe I am saying this) a funnel so we can better understand how people find, use, and interact with AI AdBots.

We would then start to plot out what those customer expectations and experiences would be from an outcomes perspective.

Wait… no, thats not right.

Can we create a coherent AI AdBot journey? Maybe.

Could we accurately identify (within a conversation with a robot) all of the moments of truth where a customer derives value? Those key events, interactions, engagement signals, etc.

In order to do that we needed to be able to name all of those interactions.

Then I asked young Kevin, “can we create our own naming conventions?”

For example can we make up bot events like “API ACTION TAKEN” or “MULTIPLE VERBS USED” or “INTRODUCTIONS MADE” could we measure sentiment like “SARCASM FREQUENCY”?

Once I managed to convince young Kevin that I wasn't drunk or crazy and after I hid his iPhone so that he couldn’t pretend that he had something more important to do, he shot me a question.

What is this AdBot’s primary objective?

Without thinking I simply said “duh! to drive sales” — I think Kevin might have actually been impressed with my quick retort.

Kevin then said, ok cool, lets think about how we can create a data-driven launch strategy.

He completely lost me.

But I was listening…

Kevin suggested we create a use case. Maybe loosely based on one of our clients.

Ok! Cool.

So let’s say that we have somehow determined that smart phone customers really desire the ability to personalize the software and customize the hardware for the mobile devices they want to buy.

I know I would.

If that is the case then the primary objective of the AI AdBot would be to first engage people (lets say on Facebook) who have shown some interest in getting a new personal device.

We could then use customer FB profiles to teach our AdBot about what some of those product personalizations and customizations would be based on profile data.

Then we could easily target those customers to engage with our AdBot on FB Messenger.

Some paid media would get the message out that our chatty AdBot could help make mobile device customization and personalization easy and seamless.

== Calculated molecules, as found in the file ==
~~~
# 1
2 unconnected molecules or ions with the total composition C23H39N2O7PS. Source: the Open Molecules 2025 dataset; level of theory: ωB97M-V/def2-TZVPD.

XYZ file:
```
73
Properties=species:S:1:pos:R:3:lowdin_charge:R:1
H -3.519 -1.241 0.423 0.124
C 0.441 2.078 -2.795 -0.206
H -2.224 1.873 -2.483 0.105
C -5.894 -0.835 -0.808 -0.138
H -3.725 2.649 0.028 0.123
C 1.608 0.837 -0.874 -0.221
H 0.839 -0.031 -2.666 0.097
H 5.543 4.385 3.789 0.089
C -3.691 -2.799 -2.956 -0.196
H -0.315 1.903 -3.563 0.098
H 5.798 -1.174 6.263 0.090
H -0.858 2.209 -0.309 0.101
H -6.717 -0.859 -1.511 0.114
H -0.567 -4.644 -4.360 0.099
H 1.215 -2.480 -3.582 0.066
H 4.900 4.284 5.441 0.089
S 0.180 -3.618 -1.836 0.644
H 4.803 -1.913 4.992 0.090
O 5.155 0.079 4.713 -0.218
H 3.281 2.079 7.572 0.089
C -1.375 -3.526 -2.723 -0.192
C -4.720 -1.598 -1.348 -0.272
C -2.514 -2.862 -2.192 -0.182
H -5.242 2.186 -1.783 0.112
N -2.468 -2.306 -0.945 0.167
C -5.520 0.585 -0.351 -0.188
H 2.342 -3.423 -2.612 0.074
H 1.327 -4.238 -3.871 0.053
O 0.309 -4.896 -1.191 -0.299
H 3.181 1.500 5.897 0.087
H -4.375 0.739 -2.220 0.107
H 1.862 1.866 -0.619 0.114
H 3.443 0.347 7.226 0.089
O 5.198 2.485 4.456 -0.214
H 1.359 2.300 -3.335 0.108
C -3.408 1.922 -0.724 -0.224
O 1.091 0.171 0.260 -0.189
C 1.966 -0.730 0.899 -0.120
H -6.444 1.117 -0.155 0.107
P 5.815 1.355 5.374 0.322
C 0.567 0.784 -1.998 -0.176
C 5.590 3.837 4.725 -0.085
O 0.387 -2.470 -0.996 -0.311
H -1.343 3.886 -0.421 0.115
H 2.522 0.367 -1.240 0.116
O 7.268 1.342 5.494 -0.215
H -0.379 0.503 -1.550 0.100
H -0.279 4.098 -2.649 0.108
N -4.817 -2.150 -2.522 0.192
C -2.611 -4.070 -4.717 -0.056
C -3.714 -3.412 -4.228 0.002
H -4.958 0.503 0.573 0.096
C -2.458 2.597 -1.700 -0.206
C -1.156 2.985 -1.007 -0.216
H 1.365 -1.565 1.246 0.077
H -6.222 -1.384 0.078 0.119
H 0.826 3.639 -1.375 0.097
H 6.500 -1.497 4.661 0.092
H 6.607 3.881 5.115 0.087
H -2.868 1.146 -0.185 0.104
H 2.720 -1.144 0.229 0.080
C -1.427 -4.135 -3.962 -0.055
H -4.613 -3.357 -4.819 0.114
C -3.541 -1.696 -0.555 -0.049
O 5.084 1.521 6.780 -0.215
C 1.393 -3.451 -3.133 -0.136
C -0.017 3.290 -1.970 -0.209
H 2.476 -0.270 1.747 0.080
H -2.655 -4.544 -5.685 0.107
C 3.665 1.350 6.862 -0.091
H -2.921 3.478 -2.137 0.120
C -4.667 1.360 -1.372 -0.199
C 5.598 -1.199 5.191 -0.085
```

Output
molecular weight = 518.61 g mol⁻¹
HOMO energy = -9.075 eV
energy = -61921.6866 eV
energy relative to the best compared isomer or geometry (same formula, charge and spin) = 1.8 kcal per mole
LUMO = -0.5 eV
SMILES = COCCCCCCCCCCc1cnc2c(S(C)(=O)=O)cccc2n1.COP(=O)(OC)OC
gap between HOMO and LUMO = 8.54 eV

# 2
C23H39N3O in the gas phase. Source: the Open Molecules 2025 dataset; level of theory: ωB97M-V/def2-TZVPD.

XYZ file:
```
66
Properties=species:S:1:pos:R:3:lowdin_charge:R:1
H -4.958 2.251 -2.413 -0.036
C 2.412 0.195 -1.357 -0.083
C -0.378 1.318 -0.212 -0.334
H -1.507 -1.440 1.775 -0.031
H 4.008 1.596 -1.692 0.174
H -1.254 2.122 1.686 0.050
H 1.849 0.472 -2.073 0.038
C 3.104 0.381 1.089 -0.205
~~~

This would help us learn if our AdBot was more effective in delivering value versus a web-based or mobile app process which requires a lot of self reporting and we all know that sucks.

Make sense?

Then young Kevin sobered me up with his next suggestion.

Brand X’s AI AdBot must be equipped to manage customer service as a CRM tool because it will be disastrous if this AI AdBot gains a user’s trust, user buys said product or is very close to buying it and then submits a customer service inquiry and the AI AdBot doesn't have the intelligence to support those kinds of requests.

All of a sudden our conversational cyborg is now exposed to be one dimensional.

Kevin convinced me that customer service has to be foundational and integrated throughout.

According to NewVoiceMedia, poor customer service in the US costs companies $41 billion each year. Also according to Zendesk, 40% of customers switch loyalty because a competitor offers better customer service.

Kevin’s next statement started off with two words that I personally hate, “Potential Barrier.”

Kevin proceeded to question me on how we were going to drive users to engage with this AI AdBot.

Were we simply going to assume that we would get a higher conversion rate due to its newness and chatty personalization methods vs traditional methods and channels?

Kevin proceeded to answer with another good question.

What is the incentive/convenience factor here for brands that we need to highlight?

I immediately answered “how about optimization & growth?” — you could answer almost any question in advertising with that response so I just instinctively used it.

Turned out I was spot on…

Kevin went on to say, that to effectively understand whether the Adbot is successful in achieving its goals, a new kind of measurement framework based on traditional web, mobile, and social analytics needs to be applied.

This would help to identify key triggers during the conversations these AdBots are engaging in and then measuring the kinds of information they are learning from in all of these unique simultaneous conversations.

Kevin went on to say that as consumer data flows in, the measurement framework will be continually optimized to specialize in analyzing all of the AI AdBot activity on both the quant and qual level.

This could include such things such as sentiment, purchase intent, secondary requests (like ask UBER to deliver me the device now), content shared, conversational subject matter, frequency of engagement, etc.

Kevin then suggested that we continue to test and evaluate our AI AdBot with new tactics like branded content and supplement that with competitive/industry trends.

Kevin, young Kevin, so bright and un-jaded.

How does all of this stuff you are saying help brands?

Young Kevin is pretty bright…

Between two parts of the article: quantum chemistry results:
~~~
Density functional theory data (wB97M-V/def2-TZVPD) for 15 unconnected molecules or ions with the total composition C67H178N14O19.

The geometry in XYZ format:
```
278
Properties=species:S:1:pos:R:3:forces:R:3:mulliken_charge:R:1
C 2.613 6.916 -5.357 1.0008 0.3390 1.2897 -1.280
C 3.998 7.522 -5.657 -0.4891 0.1948 -1.5019 0.612
C 4.366 8.746 -4.837 0.0934 0.1654 0.6689 -1.230
O 4.976 6.491 -5.699 -0.0662 -0.2675 0.6647 -0.546
H 2.350 6.067 -5.987 0.0454 0.3512 -0.1979 0.314
H 1.869 7.712 -5.327 -0.1101 -0.1109 -0.4897 0.354
H 2.639 6.561 -4.327 -0.0194 -0.2938 0.1456 0.330
H 3.925 7.888 -6.681 -0.0914 0.2065 -0.3474 0.142
H 5.334 9.198 -5.054 0.2009 -0.3636 -0.5361 0.353
H 4.425 8.569 -3.763 -0.3774 -0.2094 0.1148 0.300
H 3.653 9.545 -5.039 -0.2291 -0.0803 0.1627 0.335
H 5.760 6.834 -6.133 0.0420 0.0604 0.0299 0.317
C -2.844 0.194 -4.795 -0.1713 0.6170 0.2778 -0.738
O -2.451 1.111 -3.770 0.4849 -0.0964 -1.1032 -0.347
C -1.171 0.857 -3.224 -0.8871 0.1705 1.7830 -0.222
C -0.942 1.860 -2.015 0.2227 0.0865 -1.9457 -0.778
N 0.237 1.576 -1.250 -0.4061 -0.0312 1.2583 -0.295
C 0.085 0.413 -0.415 1.6630 -1.1620 -0.2066 -0.355
C 1.363 0.286 0.439 -1.2475 -0.0239 0.9543 -0.595
O 1.393 -0.985 1.079 0.5341 -0.4824 -0.0158 -0.309
C 2.752 -1.341 1.407 -0.8636 1.0170 -0.2831 -0.669
H -3.798 0.599 -5.132 -0.1181 -0.5033 0.0117 0.246
H -2.895 -0.839 -4.451 -0.3917 -0.0574 0.4613 0.304
H -2.203 0.120 -5.674 0.5401 0.6021 0.0010 0.304
H -0.351 0.792 -3.940 0.0351 0.5310 -0.2903 0.339
H -1.256 -0.131 -2.771 0.3606 -0.3754 0.1568 0.266
H -1.846 1.854 -1.406 0.1517 -0.3586 0.2439 0.303
H -0.862 2.902 -2.325 -0.0950 -0.0392 -0.6337 0.335
H 1.101 1.437 -1.753 -0.2213 0.4275 -0.6255 0.268
H 0.101 -0.488 -1.029 -0.3208 -0.4782 -0.0608 0.182
H -0.850 0.384 0.145 0.1992 0.3838 0.2486 0.335
H 1.324 1.059 1.206 0.1704 0.2402 0.1968 0.270
H 2.276 0.467 -0.128 -0.0378 -0.1391 -0.4773 0.371
H 2.818 -2.160 2.124 -0.3847 -0.0307 -0.2423 0.241
H 3.181 -0.446 1.858 0.5112 -0.0961 0.1616 0.291
H 3.266 -1.563 0.472 0.3128 -0.2086 0.0908 0.248
C 1.597 0.671 8.768 -0.5167 1.7047 0.5631 -0.733
O 2.401 1.669 9.440 0.1966 -1.3313 -0.2512 -0.325
C 2.657 2.776 8.628 0.8873 0.8060 -0.0273 -0.261
C 3.577 3.724 9.405 -0.1411 0.5232 0.4087 -0.788
N 3.646 5.096 8.888 -0.3815 -0.7499 -1.0959 -0.250
C 2.361 5.804 8.915 0.9685 1.4472 0.6510 -0.435
C 2.527 7.329 8.588 0.1507 -0.2615 -0.2872 -0.737
O 3.127 8.068 9.642 0.1603 0.9263 0.3280 -0.324
C 3.189 9.517 9.438 0.1282 -1.3502 -0.0205 -0.732
H 1.411 -0.181 9.422 0.5322 0.0465 -0.1027 0.266
H 1.955 0.423 7.768 0.3554 -0.2538 0.1522 0.292
H 0.642 1.183 8.651 -0.4668 -0.3142 -0.3573 0.297
H 1.735 3.235 8.270 -0.1972 0.1114 0.0859 0.310
H 3.291 2.561 7.768 -0.3998 -0.6409 -0.5642 0.231
H 4.568 3.274 9.347 0.1156 0.1663 0.1071 0.327
H 3.299 3.735 10.459 -0.2907 -0.1827 0.3003 0.378
H 4.399 5.591 9.344 -0.2994 0.2369 0.0933 0.224
H 1.939 5.708 9.916 -0.4063 0.1865 0.2807 0.338
H 1.635 5.375 8.225 0.2671 0.0289 -0.1982 0.309
~~~
Back to the article:

He said:
The Adbot has potential to become core to the business, tying in content, commerce, products comparisons, utilities and services.

It’s a brand new channel with the same business objective of driving sales but from the consumer perspective, it’s one place to receive service, offers, entertainment, and even out-of-category utility value.

Show off!

Kevin didn't just stop there, he went on to say:

It’s a completely new approach that requires corporate reorganization, adoption of new technologies, and buy-in from all key stakeholders in order to ensure success.

Ok young Kevin, so bright and eager, but where do you start?

Kevin suggested we start with a proof of concept by demonstrating the user experience on the most basic/simplest level — a conversational mobile device personalization tool with some basic customer service integration.

Kevin then suggested we develop an AI AdBot vision and product roadmap.

Then in true millennial fashion he concluded by saying:

Operate like a start-up!

-- Unrelated to this page: records of molecules --
........
This record from the OMol25 dataset describes a molecular structure, C33H41Cl2N2O4PtS2Se in a non-equilibrium geometry. The level of theory is wB97M-V/def2-TZVPD.

XYZ file:
```
86
Properties=species:S:1:pos:R:3:forces:R:3
Pt 1.10787 1.12107 0.81871 0.7 0.6 -0.6
O -1.51598 0.27096 0.14536 0.1 -0.4 0.0
S -2.89121 -0.31932 0.03497 -0.1 0.2 0.2
C -3.95394 1.13127 -0.16024 -0.1 -0.1 0.0
C -3.71515 2.24420 0.86675 0.0 0.0 0.0
C -3.07234 3.49366 0.25539 0.0 0.1 0.0
C -1.60982 3.28684 -0.14729 0.0 -0.2 0.1
S -0.38917 3.90867 1.03658 0.2 0.2 -0.1
O 0.88751 3.09007 0.74606 -0.3 1.0 -0.2
C -1.04316 3.45455 2.62533 0.0 -0.3 0.1
C -1.90750 4.36837 3.21627 0.1 -0.1 0.0
C -2.49659 4.04395 4.42741 0.0 0.0 0.0
C -2.19782 2.84210 5.05037 0.0 0.0 0.0
C -1.28807 1.96113 4.48357 0.1 0.0 0.0
C -0.70294 2.26567 3.26799 0.1 0.4 -0.4
C -3.33475 -0.83000 1.69133 0.0 0.0 0.0
C -2.31052 -0.96022 2.61433 -0.1 0.0 0.0
C -2.60988 -1.42750 3.88702 0.0 0.0 0.0
C -3.91229 -1.75352 4.22445 0.0 0.0 0.0
C -4.92816 -1.62733 3.28490 -0.1 0.0 0.1
C -4.64274 -1.17366 2.01006 0.0 0.0 0.0
H -4.98545 0.78076 -0.18340 0.0 0.0 0.1
H -3.71667 1.45491 -1.17673 0.0 0.0 0.0
H -3.08363 1.87625 1.67954 0.0 0.0 0.0
H -4.67025 2.50961 1.32106 0.0 0.1 0.0
H -3.16351 4.32096 0.96127 0.0 0.0 0.0
H -3.62658 3.80981 -0.62943 0.0 -0.1 0.0
H -1.34661 3.80943 -1.06591 0.0 0.1 0.0
H -1.36549 2.22608 -0.25979 0.0 0.0 0.0
H -2.11063 5.32156 2.74738 0.0 0.1 0.0
H -3.17573 4.74254 4.89392 0.0 0.0 0.0
H -2.65587 2.60467 5.99960 0.0 0.0 0.0
H -1.02507 1.04621 4.99397 0.0 0.0 0.0
H 0.05391 1.63390 2.80446 -0.3 -0.1 0.3
H -1.29902 -0.70638 2.32711 0.0 0.0 0.0
H -1.81882 -1.54282 4.61560 0.0 0.0 0.0
H -4.14054 -2.11655 5.21613 0.0 0.0 0.0
H -5.94438 -1.89046 3.54570 0.0 0.0 0.0
H -5.43362 -1.09727 1.27612 0.0 0.0 -0.1
C 4.91096 1.70707 -3.34830 0.0 0.1 0.0
C 4.94934 0.18942 -3.47253 0.0 -0.1 -0.1
C 5.36387 -0.51241 -2.18354 0.1 0.0 0.1
C 4.33040 -0.41909 -1.06783 -0.2 0.2 0.1
N 3.11685 -1.16794 -1.38894 -0.2 0.0 -0.2
C 1.91378 -0.66518 -1.71124 0.0 0.1 0.1
Se 1.41840 1.14786 -1.65355 -0.4 -0.1 0.3
N 1.07722 -1.67120 -2.01106 0.2 0.2 0.0
C -0.30942 -1.51105 -2.42870 -0.1 0.0 0.2
C -0.43058 -1.25499 -3.92270 0.0 0.0 0.0
C -1.88596 -1.14861 -4.36773 0.0 -0.1 -0.1
C -2.63672 -0.01134 -3.68867 -0.1 0.1 0.0
C 1.75808 -2.86856 -1.88809 0.2 -0.1 0.0
C 1.35403 -4.18597 -2.07350 0.1 0.1 0.0
C 2.29640 -5.16109 -1.82054 0.0 0.0 0.0
C 3.59405 -4.84202 -1.39515 0.0 0.0 0.0
C 3.99892 -3.53461 -1.21818 -0.1 0.0 0.0
C 3.05420 -2.54826 -1.48377 -0.1 -0.2 0.0
H 4.83717 2.18120 -4.32558 0.0 0.0 0.0
H 5.81901 2.07874 -2.87192 0.1 0.0 0.0
H 4.06281 2.04906 -2.75473 0.0 0.0 0.0
H 5.64464 -0.09515 -4.26463 0.0 0.0 0.0
H 3.97254 -0.18938 -3.79411 0.0 0.0 0.0
H 6.28729 -0.06775 -1.80394 0.0 0.0 0.0
H 5.58866 -1.56200 -2.38242 0.0 0.0 0.0
H 4.01622 0.61222 -0.89097 0.1 -0.1 0.0
H 4.70405 -0.81838 -0.12418 0.1 0.0 0.0
H -0.71184 -0.69086 -1.83041 0.0 -0.1 -0.1
H -0.83179 -2.42599 -2.13955 0.0 0.0 0.0
H 0.07877 -2.05522 -4.46581 0.0 0.0 0.0
........

I stood up, clapped slowly and then gave Kevin a really awkward hug.

Kevin and I are now really good friends. I introduced Kevin to one of my favorite copywriters who is now interested in learning more about how she can write scripts for these new AdBots.

Now the three of us (Technologist, Analyst and Copywriter) are going to ride off into the sunset and build an award winning AI AdBot that will charm the pants off of social network users everywhere.

In all seriousness, this is a very exciting time. There are no rules yet, no right or wrong in how to effectively measure a 1:1 conversation being had by a robot and a human.

However it will be exciting to see how deeply we can measure these interactions and identify and even create new metrics that will help these AI AdBots become extremely effective over time.

I will leave you with this amazing quote that I feel we should all keep in mind when developing AI AdBots.

“Here lies the challenge in finding good salespeople. You need excellent empathizers who aren’t so empathetic they can’t close a sale. And you need people with strong ego needs who can still take a moment to figure out what another person wants. They must be aggressive enough to close, but not so aggressive they put people off. Too much empathy and you’ll be a nice guy finishing last. Too much ego drive and you’ll be scorching earth everywhere you go. Not enough of either and you shouldn’t be in sales at all. It’s a miracle anyone can do this job.”
Philip Delves Broughton, The Art of the Sale

